Now say how many lines of the contents further down hold the word "C6H10N6", as a bare number.
~~~
No. 1
DFT (ωB97M-V with the def2-TZVPD basis set) results for a structure of composition C24H38Br2FI2N4O5P.

Summary:
Maximum force (eV/Å): 5.46
Orbital gap (eV): 5.273
E_HOMO (eV): -6.59
LUMO (eV): -1.3
Energy (Eh): -7717.06436

Atoms and positions in Å:
C (-3.60, 3.66, 3.87)
C (-2.05, 3.65, 3.76)
C (-1.53, 2.67, 2.72)
C (-2.42, 1.96, 1.97)
N (-2.02, 1.11, 1.02)
C (-0.73, 0.91, 0.73)
P (-0.30, -0.28, -0.65)
O (-1.59, -1.27, -0.86)
Br (-0.37, 0.98, -2.55)
C (0.24, 1.57, 1.47)
C (1.67, 1.25, 1.08)
C (2.17, 0.05, 1.95)
C (1.87, -1.29, 1.24)
N (0.55, -1.82, 1.64)
C (-0.13, 2.47, 2.48)
C (0.98, 3.18, 3.23)
I (0.86, 5.31, 2.82)
C (1.09, 2.82, 4.78)
C (0.28, 1.58, 5.20)
I (0.65, 4.54, 6.01)
H (-3.89, 4.47, 4.56)
H (-3.93, 2.71, 4.30)
H (-4.05, 3.79, 2.89)
H (-1.77, 4.68, 3.52)
H (-1.68, 3.41, 4.76)
H (-3.50, 2.02, 2.09)
H (-2.72, 0.60, 0.48)
H (-2.16, -0.88, -1.55)
H (2.37, 2.09, 1.21)
H (1.78, 0.96, 0.03)
H (3.26, 0.12, 2.07)
H (1.67, 0.13, 2.92)
H (1.91, -1.14, 0.16)
H (2.67, -2.02, 1.48)
H (0.52, -1.91, 2.65)
H (0.49, -2.77, 1.23)
H (1.93, 2.90, 2.79)
H (2.14, 2.61, 4.97)
H (-0.71, 1.84, 5.59)
H (0.81, 1.15, 6.06)
H (0.24, 0.80, 4.44)
F (-0.48, -3.70, -0.21)
C (-5.35, -1.03, -0.18)
C (-5.71, -1.88, 0.78)
C (-5.42, -3.34, 0.64)
O (-5.71, -4.15, 1.50)
C (-4.73, -3.77, -0.60)
C (-4.39, -2.91, -1.55)
C (-4.67, -1.48, -1.40)
O (-4.28, -0.71, -2.24)
H (-5.53, 0.03, -0.09)
H (-6.22, -1.51, 1.72)
H (-4.51, -4.82, -0.69)
H (-3.87, -3.22, -2.45)
O (-1.81, -5.27, -0.17)
H (-1.50, -5.18, 0.76)
H (-1.80, -6.20, -0.46)
H (-1.27, -4.69, -0.78)
C (2.13, -1.45, -3.58)
C (3.21, -0.60, -2.96)
O (3.06, -0.02, -1.89)
N (4.37, -0.48, -3.64)
C (4.74, -1.07, -4.92)
H (1.26, -1.46, -2.92)
H (1.83, -1.05, -4.54)
H (2.47, -2.48, -3.69)
H (5.05, 0.11, -3.18)
H (5.63, -1.69, -4.77)
H (4.98, -0.28, -5.62)
H (3.94, -1.68, -5.32)
C (7.08, 1.21, -8.32)
C (5.71, 1.17, -7.81)
N (4.63, 1.14, -7.41)
H (7.42, 0.20, -8.55)
H (7.12, 1.82, -9.22)
H (7.74, 1.64, -7.57)
Br (-6.15, 0.16, 2.87)

=====

No. 2
DFT (ωB97M-V with the def2-TZVPD basis set) results for the molecule C6H10N6.

Summary:
Maximum force (eV/Å): 3.21
Orbital gap (eV): 8.875
E_HOMO (eV): -7.95
LUMO (eV): 0.9
Energy (Eh): -563.02936
SMILES string: [H]/N=N/[C@H](/C=N/C)n1ccc(N)n1

Atoms and positions in Å:
H (3.68, -0.45, 0.61)
N (2.86, -0.40, 0.03)
N (1.93, -0.95, 0.65)
C (0.46, -1.06, -0.23)
C (0.58, -0.03, -1.32)
N (1.19, -0.35, -2.38)
C (1.48, 0.77, -3.42)
N (-0.54, -0.75, 0.74)
C (-0.87, -1.44, 1.88)
C (-1.80, -0.68, 2.51)
C (-1.92, 0.50, 1.72)
N (-2.79, 1.58, 1.91)
N (-1.24, 0.37, 0.61)
H (0.52, -2.08, -0.71)
H (0.21, 1.01, -1.18)
H (2.09, 1.48, -3.02)
H (0.66, 1.43, -3.88)
H (2.01, 0.32, -4.30)
H (-0.41, -2.48, 2.16)
H (-2.21, -0.87, 3.44)
H (-3.30, 1.62, 2.80)
H (-2.61, 2.47, 1.39)

=====

No. 3
DFT (ωB97M-V with the def2-TZVPD basis set) results for the molecule C6H10O.

Summary:
Maximum force (eV/Å): 0.54
Orbital gap (eV): 10.827
E_HOMO (eV): -9.76
LUMO (eV): 1.1
Energy (Eh): -309.81389
SMILES string: C[C@H]1C[C@H]1CC=O

Atoms and positions in Å:
C (-2.22, -0.19, 0.07)
C (-1.11, 0.75, -0.30)
C (-0.08, 1.24, 0.69)
C (0.34, 0.37, -0.46)
C (0.99, -0.96, -0.18)
C (2.49, -0.77, -0.08)
O (3.05, 0.28, -0.26)
H (-3.12, 0.37, 0.36)
H (-1.95, -0.85, 0.91)
H (-2.49, -0.82, -0.79)
H (-1.41, 1.51, -1.01)
H (0.22, 2.28, 0.71)
H (-0.10, 0.76, 1.67)
H (0.83, 0.88, -1.28)
H (0.81, -1.72, -0.96)
H (0.65, -1.43, 0.76)
H (3.09, -1.69, 0.14)

=====

No. 4
DFT (ωB97M-V with the def2-TZVPD basis set) results for the molecule C3H8N2O.

Summary:
Maximum force (eV/Å): 3.50
Orbital gap (eV): 10.119
E_HOMO (eV): -9.24
LUMO (eV): 0.9
Energy (Eh): -303.75657
SMILES string: NCNCC=O

Atoms and positions in Å:
N (2.31, 1.03, 0.91)
C (1.23, 0.46, 0.02)
N (-0.27, 0.35, 0.53)
C (-1.21, -0.14, -0.69)
C (-1.97, -1.38, -0.21)
O (-2.79, -1.95, -0.90)
H (3.34, 0.92, 0.51)
H (2.29, 0.36, 1.69)
H (1.52, -0.54, -0.30)
H (1.10, 1.19, -0.89)
H (-0.88, 1.16, 0.91)
H (-2.10, 0.55, -0.70)
H (-0.76, -0.19, -1.75)
H (-1.79, -1.83, 0.87)

=====
~~~
1